Endocrine System Overview
The endocrine (greek for “inner secretion”) or hormonal system belongs, like the nervous system, to the steering mechanism of the body. While the nervous system uses electrical impulses for transmission, thereby effecting fast but short-lived reactions in the organs, hormones are spread via blood- and lymph vessels and can biochemically effect long-termed changes…
The whole range of META-Health
For some, META-Health is a valuable diagnostic tool – for others a whole lifestyle.
By our E-magazine META-Healthy Life we want to show the whole range: you find personal stories beside scientific research, experiences from integrative therapy practice, useful tips and philosophical thoughts.
I am defining META-Health like this:
I am convinced that we have collected gold nuggets for every field of interest here – so enjoy META-Healthy Life!
Kwesi Anan Odum MD
CEO International META-Medicine Association
-- Here the text breaks off for molecular data --
<<<
{"formula": "C25H20BF6N4O6S", "method": "wB97M-V/def2-TZVPD", "elements": ["N", "C", "C", "C", "C", "N", "O", "O", "C", "C", "N", "O", "O", "N", "C", "H", "H", "C", "C", "C", "C", "C", "B", "C", "C", "C", "C", "F", "F", "F", "C", "C", "C", "F", "F", "F", "C", "O", "C", "C", "C", "C", "C", "O", "S", "H", "H", "H", "H", "H", "H", "H", "H", "H", "H", "H", "H", "H", "H", "H", "H", "H", "H"], "positions_angstrom": [[-2.061, -4.371, 1.682], [-1.684, -3.267, 1.992], [-1.182, -1.949, 2.159], [0.157, -1.594, 2.368], [0.508, -0.234, 2.530], [1.524, 0.004, 3.489], [2.446, -0.856, 3.640], [1.488, 1.091, 4.131], [-0.342, 0.945, 2.243], [-1.694, 0.452, 2.347], [-2.771, 1.163, 2.877], [-2.897, 2.250, 3.423], [-3.883, 0.191, 2.903], [-3.478, -1.062, 2.431], [-2.127, -0.883, 2.203], [0.926, -2.346, 2.556], [-0.209, 1.803, 2.967], [1.819, 4.114, -3.953], [1.537, 3.906, -2.498], [1.692, 4.777, -1.465], [1.315, 4.281, -0.207], [0.680, 3.028, -0.299], [0.648, 1.768, 1.039], [-0.756, 2.639, 0.674], [-1.806, 2.050, -0.063], [-3.064, 2.582, -0.052], [-4.154, 1.860, -0.801], [-5.338, 2.538, -0.817], [-3.800, 1.625, -2.104], [-4.396, 0.636, -0.228], [-3.361, 3.750, 0.681], [-2.330, 4.328, 1.443], [-2.613, 5.573, 2.237], [-1.916, 5.586, 3.417], [-2.248, 6.709, 1.552], [-3.941, 5.710, 2.544], [-1.077, 3.784, 1.473], [0.997, 0.714, 0.134], [2.329, 0.237, 0.053], [3.468, 1.104, 0.680], [4.505, 0.179, 1.303], [4.139, 1.909, -0.442], [3.022, 2.124, 1.768], [1.630, 2.363, 1.833], [0.735, 2.443, -1.922], [2.215, 5.138, -4.031], [2.573, 3.417, -4.363], [0.893, 4.009, -4.548], [2.125, 5.778, -1.617], [1.417, 4.797, 0.710], [-1.607, 1.136, -0.645], [-4.343, 4.167, 0.672], [-0.297, 4.219, 2.105], [2.317, -0.774, 0.522], [2.504, 0.118, -1.037], [5.341, 0.762, 1.735], [4.033, -0.413, 2.100], [4.922, -0.506, 0.549], [4.993, 2.459, -0.034], [4.516, 1.222, -1.202], [3.420, 2.610, -0.879], [3.373, 1.821, 2.774], [3.448, 3.129, 1.599]], "lowdin_charge": [0.107, -0.189, -0.195, 0.076, -0.138, -0.305, -0.028, 0.018, -0.012, -0.070, -0.123, 0.057, -0.015, 0.131, -0.180, 0.134, 0.171, -0.106, -0.546, -0.140, -0.075, -0.346, -0.948, -0.135, 0.016, -0.097, -0.504, 0.118, 0.115, 0.120, 0.065, -0.115, -0.501, 0.119, 0.109, 0.115, 0.043, -0.057, -0.110, -0.462, -0.055, -0.048, -0.098, 0.028, 1.165, 0.078, 0.080, 0.079, 0.121, 0.115, 0.156, 0.118, 0.151, 0.131, 0.124, 0.095, 0.067, 0.089, 0.086, 0.083, 0.062, 0.126, 0.130], "homo_ev": -4.4, "e_above_lowest_kj_mol": 292.0, "e_tot_ev": -72304.57636, "total_charge": -1, "lumo_ha": 0.051, "max_force_ev_per_a": 5.61, "homo_lumo_gap_ev": 5.822}
>>>
The Ropedancer and the Temptation
by Kora Klapp
To be in control suits our society – actually, the working system is built upon governance, rules, and control. Like with traffic: clear borders and signals ensure safety and shall create flow through good coordination. Without it, chaos can arise: horrendous accidents or angry stand-still with honking all around. It’s dangerous without control – the greater the energies behind contact surfaces, the more…
Sun-charged Water
Abuna Semai talks about how to get more energy!
Healing Lymphoma Naturally
by Chris Whalley
This is a live interview with a very brave lady client who reversed her Cancer (non hodgkins lymphoma) naturally without mainstream medicine.
Fluorescing Light and the Path to be Me
by Gaylene Hansen
Life is full of experiences which seem to arise to teach us, and they can lead us down a different path to the one we had intended.
For me, this occurred in the latter half of 2011 when I had what I name a “wake up call”. Occipital headaches and a congested “muzzy” head became constant and my blood pressure started to rise. These symptoms were compounded by a reaction to fluorescent lights which threatened my career as a nurse, something I deeply cherish and love.
How Simple Changes saved me from Anxiety
by Avnita Suri
Amongst the symptoms I’ve experienced in my life time, I’ve had anxiety. It was the kind that was mild – nothing serious and nothing was diagnosed, thankfully. If it had, I’m sure it would have taken me longer to get over it.
It all started when I was quite young really. In truth, I don’t remember life without worry. I had worries right from being a small child. It was like the right thing to do – Mum worried and I was her sidekick. That was what life was – hardship, worry, unfair, fear.
Personality sits in the Gut!
by Kora Klapp
Microorganisms are fascinating components in life on earth. Many functions that used to be attributed to bigger life forms or their organs, are actually performed by microorganisms that have adjusted to a specialized niche, and effectively have become part of that life form.
When we observe the water-cleansing properties of a natural or constructed wetland, the filtration happens in the root system of the plants, while the processing of the filtrated substances is done by the microbes attached to the fine roots, and supplying them with nutrients. We talk of symbiosis, but it really is an integrated part of the plant’s organism.
Fermentation – the Transformation into Superfood
by Kora Klapp
Fresh fruit and veggies are great! They provide stored sun energy, vitamins, they connect us with our ecosystem and make us happy. On fresh leaves, there are bacteria – yes they belong there! For example lactobacteria. And those can do wonders with our food, potentiate the vitamin content and conserve it at the same time, so that even in winter, we can eat “sunshine”.
New research supports holobiont concept
by Kora Klapp
The META-Health and Permaculture concept of symbiosis into creation of an organism on micro- as on macro-levels is now being supported by the conclusion of new scientific research.
Kiel University investigated how our microbiome development is controlled by the nervous system.
During the development of the nervous system of a hydra from egg stage to a fully-grown organism, it’s microbiome changes drastically in only 3 weeks, until it finally stabilizes in composition and local variations. From that, the researchers deduct original and universally valid principles of the nerve system’s functioning.
My Journey from Hypothyroidism to Euthyroidism
by Deborah Wiggins-Hay
In 1995, my first child was born in Brighton, England. I felt fabulous for the first 5-6 weeks
after her birth, and then my health took a dive and my life changed significantly.
I discovered a large lump growing in my throat – my initial fear was that I might have cancer. A fine needle aspiration and an isotope scan provided a diagnosis of autoimmune thyroiditis and a benign goitre.
Hashimoto’s Thyroiditis – A New Path of Learning and Discovery
by Gaylene Hansen
Our life is an endless path of learning, an evolving journey of personal growth and development, a discovery of who we are, and the beliefs we hold. Each step provides the opportunity to look at what shapes us to be our individual unique self.
Mid April (2016), I visited a General Practitioner (GP), Naturopathic doctor, not because I was sick, but because I was curious to know how my health could be further improved.
De-coding and healing my hyperactive thyroid
by Thorsten Krüger
It was a sunny day in the end of march which became the starting point for one of the most important changes in my life. Although a cold wind was blowing outside I felt the sticky warmth of high summer inside my body, wearing only a t-shirt and bermuda shorts.
I was in my mid twenties. Some months ago I had started my practical training period as a pharmacist. After long years of theoretical studies I was finally in interaction with real people in a public pharmacy. It was a phase of high activity and seething energy.
Adrenals – what shows you the Way?
META-Health Doctors and Therapists discussed Adrenal issues during the International Conference 2017 in Mumbai:
Collective Consciousness for a Logical Mind
Pooja Bedi tells her personal story on the 8. International META-Health Conference in Mumbai.